As my time prep­ping matures, and liv­ing in an apart­ment, I am also find­ing that my prep­ping is start­ing to morph a bit.  As I prep for food, most specif­i­cal­ly, I find that cans of food are becom­ing cum­ber­some.  Specif­i­cal­ly, soups, tunas, canned chick­en (which is a per­son­al favorite of mine), etc.  I also find myself revis­it­ing “Bug In” and “Bug Out” plans.  I’ve made con­ces­sions for bug­ging out with MREs and freeze dried / dehy­drat­ed foods.  How­ev­er, that is most­ly for short term.  Many of my sup­plies, are also in my apart­ment, mean­ing when/if I bug out, for any medi­um or long term issue, much food and sup­plies must come with me.  ALso mean­ing, I will have a lot of load­ing to do, so a bet­ter com­part­men­tal­ized sys­tem is going to be required.  Cans of soup in a Lowes or Home Depot five gal­lon buck­et may work, but can be as heavy or heav­ier than a ix gal­lon buck­et of rice or prepack­aged and pre-packed six gal­lon buck­et of some­thing like a Chef’s Ban­quet buck­et with 30 days of food at 2,100 calo­ries a day…  That is not to dis­count my soups and oth­er canned foods that I “try to rotate” as I use them.  The truth is, I find myself not using the canned foods as often as I thought I would.  In addi­tion, I find my self sup­ple­ment­ing canned foods with oth­er canned foods to make it a high­er calo­rie more sus­tain­able meal, not to men­tion a bet­ter tast­ing meal.

_Data records, kept here for reference_
********
Material: TiMoC3
Method: DFT, GGA-PBE
State: relaxed

Geometry as POSCAR:
```
TiMoC3
1.0
-2.5021 1.1924 -2.8804
-2.9560 -2.0808 1.7064
-0.9904 3.1981 2.1842
C Ti Mo
3 1 1
Cartesian
-0.4952 1.5990 1.0921
-1.2511 0.5962 -1.4402
-1.4780 -1.0404 0.8532
-3.2242 1.1548 0.5051
0.0000 0.0000 0.0000
```

Properties
ΔE_f	1.557	eV/atom
total magnetization	0.01	μB per formula unit
SG	Pm-3m (221)
ΔE to the lowest computed polymorph	0	meV/atom
volume	12.8	A^3/atom
total energy	-7.722	eV/atom

----------

First-principles (GGA-PBEsol) data for crystalline PrAl3 at its relaxed geometry, as listed in Alexandria via LeMat-Bulk.

extended XYZ file:
```
8
Lattice="6.464 0.000 0.000 -3.232 5.598 0.000 0.000 0.000 4.614" Properties=species:S:1:pos:R:3 pbc="T T T"
Pr 0.000 3.732 1.153
Pr 3.232 1.866 3.460
Al 0.000 1.586 3.460
Al -1.859 4.805 3.460
Al 1.373 0.793 1.153
Al 1.859 4.805 3.460
Al 5.091 0.793 1.153
Al 3.232 4.012 1.153
```

Properties
The calculation puts the formation enthalpy at 0 K at -0.4448 eV per atom.



First-principles (GGA-PBEsol) data for crystalline PrAl2 at its relaxed geometry, as listed in Alexandria via LeMat-Bulk.

extended XYZ file:
```
6
Lattice="0.000 4.003 4.003 4.003 0.000 4.003 4.003 4.003 0.000" Properties=species:S:1:pos:R:3 pbc="T T T"
Pr 1.001 1.001 1.001
Pr 7.005 7.005 7.005
Al 4.003 2.001 2.001
Al 2.001 4.003 2.001
Al 2.001 2.001 4.003
Al 4.003 4.003 4.003
```

Properties
The calculation puts the formation enthalpy at 0 K at -0.5010 eV per atom.



First-principles (GGA-PBEsol) data for crystalline PrAl3 at its relaxed geometry, as listed in Alexandria via LeMat-Bulk.

extended XYZ file:
```
4
Lattice="4.343 0.000 0.000 0.000 4.343 0.000 0.000 0.000 4.343" Properties=species:S:1:pos:R:3 pbc="T T T"
Pr 0.000 0.000 0.000
Al 0.000 2.172 2.172
Al 2.172 0.000 2.172
Al 2.172 2.172 0.000
```

Properties
The calculation puts the formation enthalpy at 0 K at -0.3671 eV per atom.



First-principles (GGA-PBEsol) data for crystalline Pr3Al11 at its relaxed geometry, as listed in Alexandria via LeMat-Bulk.

extended XYZ file:
```
14
Lattice="-2.180 5.004 6.450 2.180 -5.004 6.450 2.180 5.004 -6.450" Properties=species:S:1:pos:R:3 pbc="T T T"
Pr 0.000 0.000 0.000
Pr 0.000 0.000 4.091
Pr 0.000 0.000 8.808
Al 2.180 -1.310 2.136
Al 2.180 -2.257 4.690
Al 2.180 2.862 0.000
Al 2.180 1.310 2.136
Al 0.000 2.747 1.760
Al 0.000 5.004 0.000
Al 2.180 2.257 4.690
Al 0.000 3.695 4.314
Al 0.000 2.142 6.450
Al 0.000 7.262 1.760
Al 0.000 6.314 4.314
```

Properties
The calculation puts the formation enthalpy at 0 K at -0.3718 eV per atom.



First-principles (GGA-PBEsol) data for crystalline PrAlRh at its relaxed geometry, as listed in Alexandria via LeMat-Bulk.

extended XYZ file:
```
12
Lattice="6.993 0.000 0.000 0.000 4.246 0.000 0.000 0.000 8.072" Properties=species:S:1:pos:R:3 pbc="T T T"
Pr 0.260 1.061 1.460
Pr 3.237 3.184 5.496
Pr 3.756 1.061 2.576
Pr 6.733 3.184 6.612
Al 0.933 1.061 4.527
Al 2.563 3.184 0.490
Al 4.430 1.061 7.582
Al 6.060 3.184 3.546
********

I even bought a portable shelv­ing unit from Lowes to hold all my canned foods.  As I look at it, no mat­ter how I look at it, how­ev­er, it still looks unor­ga­nized and a bit con­fus­ing.  Hence, I keep a detailed inven­to­ry list that gets updat­ed spo­rad­i­cal­ly, so sad­ly it is nev­er accu­rate, although it is “most­ly accu­rate.”   So for that, I have been look­ing at solu­tions like the Chef’s Ban­quet buck­et and look­ing to sup­ple­ment it with oth­er veg­etable and pro­tein solu­tions around it, as I think it’s pro­tein con­tent is a bit low for me, per­son­al­ly.  Some­thing I urge you to do as well, is eval­u­ate how much pro­tein, carbs, and oth­er nutri­ents your own body will require in a SHTF sit­u­a­tion.  I’ve done this numer­ous times, and as I gain and lose weight, work out, etc. I am con­stant­ly per­son­al­ly eval­u­at­ing my nutri­tion­al con­tent and intake to adjust it where I need to.

Why do I like the Chef’s Ban­quet buck­et:

Next to the text, the page also holds calculated crystals:
+++
[1]
VASP calculation (GGA-PBE) on an optimized crystal structure of Ca4TlGa.

DFT formation energy in eV per atom: -0.21

Structure (CIF):
```
data_Ca4TlGa
_chemical_formula_sum 'Ca4 Tl1 Ga1'
_symmetry_space_group_name_H-M 'P 4/m m m'
_symmetry_Int_Tables_number 123
_symmetry_space_group_name_Hall '-P 4 2'
_cell_length_a 5.288
_cell_length_b 5.288
_cell_length_c 7.562
_cell_angle_alpha 90.00
_cell_angle_beta 90.00
_cell_angle_gamma 90.00
loop_
_atom_site_label
_atom_site_type_symbol
_atom_site_fract_x
_atom_site_fract_y
_atom_site_fract_z
Ca1 Ca 0.000 0.500 0.240
Tl1 Tl 0.000 0.000 0.500
Ga1 Ga 0.500 0.500 0.000
```

[2]
VASP calculation (GGA-PBE) on an optimized crystal structure of Ca5Tl4Ga.

DFT formation energy in eV per atom: -0.44

Structure (CIF):
```
data_Ca5Tl4Ga
_chemical_formula_sum 'Ca5 Tl4 Ga1'
_symmetry_space_group_name_H-M 'P 4/m m m'
_symmetry_Int_Tables_number 123
_symmetry_space_group_name_Hall '-P 4 2'
_cell_length_a 3.854
_cell_length_b 3.854
_cell_length_c 19.266
_cell_angle_alpha 90.00
_cell_angle_beta 90.00
_cell_angle_gamma 90.00
loop_
_atom_site_label
_atom_site_type_symbol
_atom_site_fract_x
_atom_site_fract_y
_atom_site_fract_z
Ca1 Ca 0.000 0.000 0.000
Ca2 Ca 0.000 0.000 0.205
Ca3 Ca 0.000 0.000 0.409
Tl1 Tl 0.500 0.500 0.102
Tl2 Tl 0.500 0.500 0.307
Ga1 Ga 0.500 0.500 0.500
```

[3]
VASP calculation (GGA-PBE) on an optimized crystal structure of Ca2TlGa2.

DFT formation energy in eV per atom: -0.37

Structure (CIF):
```
data_Ca2TlGa2
_chemical_formula_sum 'Ca4 Tl2 Ga4'
_symmetry_space_group_name_H-M 'P 4/m b m'
_symmetry_Int_Tables_number 127
_symmetry_space_group_name_Hall '-P 4 2ab'
_cell_length_a 8.047
_cell_length_b 8.047
_cell_length_c 4.009
_cell_angle_alpha 90.00
_cell_angle_beta 90.00
_cell_angle_gamma 90.00
loop_
_atom_site_label
_atom_site_type_symbol
_atom_site_fract_x
_atom_site_fract_y
_atom_site_fract_z
Ca1 Ca 0.181 0.319 0.000
Tl1 Tl 0.000 0.000 0.500
Ga1 Ga 0.114 0.614 0.500
```

[4]
VASP calculation (GGA-PBE) on an optimized crystal structure of Ca6TlGa.

DFT formation energy in eV per atom: -0.22

Structure (CIF):
```
data_Ca6TlGa
_chemical_formula_sum 'Ca12 Tl2 Ga2'
_symmetry_space_group_name_H-M 'I 4/m m m'
_symmetry_Int_Tables_number 139
_symmetry_space_group_name_Hall '-I 4 2'
_cell_length_a 5.425
_cell_length_b 5.425
_cell_length_c 18.790
_cell_angle_alpha 90.00
_cell_angle_beta 90.00
_cell_angle_gamma 90.00
loop_
_atom_site_label
_atom_site_type_symbol
_atom_site_fract_x
_atom_site_fract_y
_atom_site_fract_z
Ca1 Ca 0.000 0.000 0.250
Ca2 Ca 0.000 0.500 0.097
Tl1 Tl 0.000 0.000 0.000
Ga1 Ga 0.000 0.000 0.500
```

~~~~~

Record 1
! PrY3HoEr (PBE, relaxed); values from VASP
&SYSTEM
  ibrav = 0, nat = 12, ntyp = 4
/
ATOMIC_SPECIES
Pr 140.91 Pr.upf
Y 88.91 Y.upf
Ho 164.93 Ho.upf
Er 167.26 Er.upf
CELL_PARAMETERS angstrom
-0.4756 4.8418 1.3860
-7.2558 -2.8358 -1.8320
-1.3018 -2.8797 9.6131
ATOMIC_POSITIONS angstrom
Pr -0.6509 -1.4399 4.8066
Pr 0.0000 0.0000 0.0000
Y -3.3968 0.8447 5.1152
+++

  • The price at Cost­co is right. $85.00
    • I need to do an analy­sis of what it would cost me to go to the gro­cery store and sup­ply myself with a mon­th’s worth of food at about 2,000 calo­ries per day, in food stor­age.  How­ev­er, with food prices where they are today, I bet it is going to be more than $85.00 with the right mix of nutri­ents I am look­ing for.
  • It gets most­ly good reviews
  • It is portable
  • It saves me time and men­tal ener­gy to focus on oth­er items such as work, oth­er preps, and skills…
  • More com­part­men­tal­ized.
    • If I want to dis­trib­ute a few buck­ets at a BOL or a fall­back loca­tion, then I can and not wor­ry about gath­er­ing a “nutri­tion­al val­ue com­bi­na­tion” of preps, it is already done for me.
  • I’m pret­ty sure it is going to save me space when I look at how I have things stored today.
  • I can actu­al­ly use some of the preps in every day cook­ing I had stored and may be close or just past their expi­ra­tion date, with­out fear of hurt­ing my “inven­to­ry list.”

If you are prepped and liv­ing in an apart­ment, how else do you save time, space, and effort when stor­ing your food prepa­ra­tions?